File:
<<<
No. 1
Material: CuGe2Ru2
Method: DFT, GGA-PBE
State: optimized geometry

Properties
Relative energy among the computed polymorphs   331.8 meV/atom
Calculated density   8.69 g/cm3
E_form   0.228 eV per atom
VASP energy   -30.74 eV per cell

abc: 3.614 3.614 6.531
angles: 73.94 73.94 90.00
Sites, in units of the cell vectors:
1 Ru 0.394 0.394 0.211
2 Ru 0.606 0.606 0.789
3 Ge 0.750 0.250 0.500
4 Ge 0.250 0.750 0.500
5 Cu 0.000 0.000 0.000


No. 2
Material: Cu3GeRu
Method: DFT, GGA-PBE
State: optimized geometry

Properties
Relative energy among the computed polymorphs   241.1 meV/atom
Calculated density   6.30 g/cm3
E_form   1.262 eV per atom
VASP energy   -19.87 eV per cell

abc: 4.579 4.579 4.579
angles: 90.00 90.00 90.00
Sites, in units of the cell vectors:
1 Ru 0.000 0.000 0.000
2 Ge 0.500 0.500 0.500
3 Cu 0.000 0.500 0.000
4 Cu 0.000 0.000 0.500
5 Cu 0.500 0.000 0.000


No. 3
Material: Cu3GeRu
Method: DFT, GGA-PBE
State: optimized geometry

Properties
Relative energy among the computed polymorphs   0.0 meV/atom
Calculated density   7.21 g/cm3
E_form   1.021 eV per atom
VASP energy   -21.08 eV per cell

abc: 4.378 4.378 4.378
angles: 90.00 90.00 90.00
Site moments in Bohr magnetons follow the coordinates.
Sites, in units of the cell vectors:
1 Ru 0.500 0.500 0.500  1.65
2 Ge 0.000 0.000 0.000  0.01
3 Cu 0.000 0.500 0.000  -0.01
4 Cu 0.000 0.000 0.500  -0.01
5 Cu 0.500 0.000 0.000  -0.01


No. 4
Material: Cu2Ge2Ru
Method: DFT, GGA-PBE
State: optimized geometry

Properties
Calculated density   8.57 g/cm3
E_form   0.082 eV per atom
VASP energy   -52.59 eV per cell

abc: 6.583 6.583 3.339
angles: 90.00 90.00 90.00
Sites, in units of the cell vectors:
1 Ru 0.000 0.000 0.000
2 Ru 0.500 0.500 0.000
3 Ge 0.345 0.845 0.000
4 Ge 0.845 0.655 0.000
5 Ge 0.655 0.155 0.000
6 Ge 0.155 0.345 0.000
7 Cu 0.142 0.642 0.500
8 Cu 0.642 0.858 0.500
9 Cu 0.858 0.358 0.500
10 Cu 0.358 0.142 0.500

----------

A plane-wave DFT calculation with PBE was carried out for crystalline CaHf3Be at its relaxed geometry.

E above lowest polymorph = 1.676 eV per atom
Magnetization = 0.0 μB per formula unit
Formation enthalpy at 0 K = 2160 meV per atom
Energy = -0.1822 hartree per atom

abc: 4.961 4.961 4.961
angles: 90.00 90.00 90.00
Fractional coordinates of all 5 atoms:
Be 0.500 0.500 0.500
Ca 0.000 0.000 0.000
Hf 0.000 0.500 0.000
Hf 0.000 0.000 0.500
Hf 0.500 0.000 0.000

=====

A plane-wave DFT calculation with PBE was carried out for crystalline Tl2ReGe at its relaxed geometry.

E above lowest polymorph = 0.071 eV per atom
Magnetization = 0.2 μB per formula unit
Formation enthalpy at 0 K = 1153 meV per atom
Energy = -0.1579 hartree per atom

abc: 4.940 4.940 4.940
angles: 60.00 60.00 60.00
Site moments in Bohr magnetons follow the coordinates.
Fractional coordinates of all 4 atoms:
Re 0.500 0.500 0.500  0.17
Tl 0.250 0.250 0.250  -0.01
Tl 0.750 0.750 0.750  -0.01
Ge 0.000 0.000 0.000  -0.01

=====

A plane-wave DFT calculation with PBE was carried out for crystalline NdSmScCu at its relaxed geometry.

Magnetization = 0.0 μB per formula unit
>>>

What to do:
The reader should filter the calculation results above: keep the lines with the word "density".

Done:
Calculated density   8.69 g/cm3
Calculated density   6.30 g/cm3
Calculated density   7.21 g/cm3
Calculated density   8.57 g/cm3